Job:
What is needed: return the lines further down up to the one that holds "0.6898", that line included.
Data:
____________
This record from Alexandria describes a relaxed CuIrRu2 crystal. The functional is PBE-GGA.

Cell lengths 4.2977, 4.2977, 4.2966 Å; angles 59.99, 59.99, 60.00 degrees
With the nearest neighbours (Å) after each atom.
Fractional coordinates of all 4 atoms:
1 Cu 0.7500 0.7500 0.7500  4 Ru 2.63, 4 Ir 2.63
2 Ir 0.5000 0.5000 0.4999  4 Cu 2.63, 4 Ru 2.63
3 Ru 0.0000 0.0000 0.0001  4 Cu 2.63, 4 Ru 2.63
4 Ru 0.2500 0.2500 0.2500  4 Ru 2.63, 4 Ir 2.63

## Properties
ρ, g/cm³: 13.55
Energy of formation from the pure elements, eV per atom: 0.396
Distance to the lowest polymorph of the same formula, eV per atom: 0.267
E_tot, eV/atom: -7.481

----------

Entry 1:
{
  "formula": "Pm2HgPd",
  "functional": "PBE",
  "state": "optimized geometry",
  "lattice": [[3.681, 0.000, 0.000], [0.000, 3.681, 0.000], [0.000, 0.000, 7.518]],
  "species": ["Pm", "Pm", "Hg", "Pd"],
  "fractional_positions": [[0.000, 0.000, 0.230], [0.000, 0.000, 0.770], [0.500, 0.500, 0.500], [0.500, 0.500, 0.000]],
  "dos_at_fermi_per_ev_atom": 0.81,
  "total_energy_ev_per_cell": -17.5,
  "space_group": "P4/mmm",
  "polymorph_energy_kcal_per_mol_atoms": 0.00,
  "crystal_system": "tetragonal"
}

***

Entry 2:
{
  "formula": "PmHg2Pd8",
  "functional": "PBE",
  "state": "optimized geometry",
  "lattice": [[7.343, -2.099, 0.000], [7.343, 2.099, 0.000], [-1.703, 0.000, 6.231]],
  "species": ["Pm", "Hg", "Hg", "Pd", "Pd", "Pd", "Pd", "Pd", "Pd", "Pd", "Pd"],
  "fractional_positions": [[0.000, 0.000, 0.000], [0.275, 0.275, 0.351], [0.725, 0.725, 0.649], [0.091, 0.091, 0.464], [0.182, 0.182, 0.912], [0.361, 0.361, 0.813], [0.458, 0.458, 0.281], [0.542, 0.542, 0.719], [0.639, 0.639, 0.187], [0.818, 0.818, 0.088], [0.909, 0.909, 0.536]],
  "dos_at_fermi_per_ev_atom": 0.31,
  "total_energy_ev_per_cell": -50.8,
  "space_group": "C2/m",
  "polymorph_energy_kcal_per_mol_atoms": 0.00,
  "crystal_system": "monoclinic"
}

***

Entry 3:
{
  "formula": "PmPrHgPd",
  "functional": "PBE",
  "state": "optimized geometry",
  "lattice": [[0.000, 3.734, 3.734], [3.734, 0.000, 3.734], [3.734, 3.734, 0.000]],
  "species": ["Pm", "Pr", "Hg", "Pd"],
  "fractional_positions": [[0.000, 0.000, 0.000], [0.500, 0.500, 0.500], [0.250, 0.250, 0.250], [0.750, 0.750, 0.750]],
  "dos_at_fermi_per_ev_atom": 0.89,
  "total_energy_ev_per_cell": -17.3,
  "space_group": "F-43m",
  "crystal_system": "cubic"
}

***

Entry 4:
{
  "formula": "PmPuHgPd",
  "functional": "PBE",
  "state": "optimized geometry",
  "lattice": [[0.000, 3.685, 3.685], [3.685, 0.000, 3.685], [3.685, 3.685, 0.000]],
  "species": ["Pm", "Pu", "Hg", "Pd"],
  "fractional_positions": [[0.000, 0.000, 0.000], [0.500, 0.500, 0.500], [0.250, 0.250, 0.250], [0.750, 0.750, 0.750]],
  "dos_at_fermi_per_ev_atom": 2.81,
  "total_energy_ev_per_cell": -26.0,
  "space_group": "F-43m",
  "crystal_system": "cubic"
}

----------

Entry from the Alexandria database: TbMg4Cd2 after structural relaxation (PBE-GGA).

Properties
Relative energy among the computed polymorphs: 22.9 kJ/mol of atoms
Formation energy from the elements: 125.1 meV/atom
V: 175.1 Å³/cell

Cell lengths 6.1023, 6.1023, 7.6714 Å; angles 127.34, 127.36, 58.50 degrees
Closest atoms and distances in Å follow each position.
Fractional coordinates of all 7 atoms:
Mg 0.7499 0.2500 0.5000  4 Mg 2.76-2.98
Mg 0.2501 0.7500 0.5000  4 Mg 2.76-2.98
Mg 0.5000 0.0000 0.0000  4 Mg 2.76-2.98, 2 Tb 3.05
Mg 0.0000 0.5000 0.0000  4 Mg 2.76-2.98, 2 Tb 3.05
Cd 0.6543 0.6543 0.3102  8 Mg 3.22-3.51, 1 Cd 3.42, 2 Tb 3.44
Cd 0.3457 0.3457 0.6898  8 Mg 3.22-3.51, 1 Cd 3.42, 2 Tb 3.44
Tb 0.0000 0.0000 0.0000  4 Mg 3.05

----------

[1]
The following is a DFT calculation (PBE) of Tm3BiP2Rh9 after structural relaxation.

Structure (CIF):
```
data_Tm3BiP2Rh9
_chemical_formula_sum 'Tm3 Bi1 P2 Rh9'
_symmetry_space_group_name_H-M 'P -3 m 1'
_symmetry_Int_Tables_number 164
_symmetry_space_group_name_Hall '-P 3 2"'
_cell_length_a 6.0230
_cell_length_b 6.0230
_cell_length_c 9.4897
_cell_angle_alpha 90.00
_cell_angle_beta 90.00
____________
Done:
This record from Alexandria describes a relaxed CuIrRu2 crystal. The functional is PBE-GGA.

Cell lengths 4.2977, 4.2977, 4.2966 Å; angles 59.99, 59.99, 60.00 degrees
With the nearest neighbours (Å) after each atom.
Fractional coordinates of all 4 atoms:
1 Cu 0.7500 0.7500 0.7500  4 Ru 2.63, 4 Ir 2.63
2 Ir 0.5000 0.5000 0.4999  4 Cu 2.63, 4 Ru 2.63
3 Ru 0.0000 0.0000 0.0001  4 Cu 2.63, 4 Ru 2.63
4 Ru 0.2500 0.2500 0.2500  4 Ru 2.63, 4 Ir 2.63

## Properties
ρ, g/cm³: 13.55
Energy of formation from the pure elements, eV per atom: 0.396
Distance to the lowest polymorph of the same formula, eV per atom: 0.267
E_tot, eV/atom: -7.481

----------

Entry 1:
{
  "formula": "Pm2HgPd",
  "functional": "PBE",
  "state": "optimized geometry",
  "lattice": [[3.681, 0.000, 0.000], [0.000, 3.681, 0.000], [0.000, 0.000, 7.518]],
  "species": ["Pm", "Pm", "Hg", "Pd"],
  "fractional_positions": [[0.000, 0.000, 0.230], [0.000, 0.000, 0.770], [0.500, 0.500, 0.500], [0.500, 0.500, 0.000]],
  "dos_at_fermi_per_ev_atom": 0.81,
  "total_energy_ev_per_cell": -17.5,
  "space_group": "P4/mmm",
  "polymorph_energy_kcal_per_mol_atoms": 0.00,
  "crystal_system": "tetragonal"
}

***

Entry 2:
{
  "formula": "PmHg2Pd8",
  "functional": "PBE",
  "state": "optimized geometry",
  "lattice": [[7.343, -2.099, 0.000], [7.343, 2.099, 0.000], [-1.703, 0.000, 6.231]],
  "species": ["Pm", "Hg", "Hg", "Pd", "Pd", "Pd", "Pd", "Pd", "Pd", "Pd", "Pd"],
  "fractional_positions": [[0.000, 0.000, 0.000], [0.275, 0.275, 0.351], [0.725, 0.725, 0.649], [0.091, 0.091, 0.464], [0.182, 0.182, 0.912], [0.361, 0.361, 0.813], [0.458, 0.458, 0.281], [0.542, 0.542, 0.719], [0.639, 0.639, 0.187], [0.818, 0.818, 0.088], [0.909, 0.909, 0.536]],
  "dos_at_fermi_per_ev_atom": 0.31,
  "total_energy_ev_per_cell": -50.8,
  "space_group": "C2/m",
  "polymorph_energy_kcal_per_mol_atoms": 0.00,
  "crystal_system": "monoclinic"
}

***

Entry 3:
{
  "formula": "PmPrHgPd",
  "functional": "PBE",
  "state": "optimized geometry",
  "lattice": [[0.000, 3.734, 3.734], [3.734, 0.000, 3.734], [3.734, 3.734, 0.000]],
  "species": ["Pm", "Pr", "Hg", "Pd"],
  "fractional_positions": [[0.000, 0.000, 0.000], [0.500, 0.500, 0.500], [0.250, 0.250, 0.250], [0.750, 0.750, 0.750]],
  "dos_at_fermi_per_ev_atom": 0.89,
  "total_energy_ev_per_cell": -17.3,
  "space_group": "F-43m",
  "crystal_system": "cubic"
}

***

Entry 4:
{
  "formula": "PmPuHgPd",
  "functional": "PBE",
  "state": "optimized geometry",
  "lattice": [[0.000, 3.685, 3.685], [3.685, 0.000, 3.685], [3.685, 3.685, 0.000]],
  "species": ["Pm", "Pu", "Hg", "Pd"],
  "fractional_positions": [[0.000, 0.000, 0.000], [0.500, 0.500, 0.500], [0.250, 0.250, 0.250], [0.750, 0.750, 0.750]],
  "dos_at_fermi_per_ev_atom": 2.81,
  "total_energy_ev_per_cell": -26.0,
  "space_group": "F-43m",
  "crystal_system": "cubic"
}

----------

Entry from the Alexandria database: TbMg4Cd2 after structural relaxation (PBE-GGA).

Properties
Relative energy among the computed polymorphs: 22.9 kJ/mol of atoms
Formation energy from the elements: 125.1 meV/atom
V: 175.1 Å³/cell

Cell lengths 6.1023, 6.1023, 7.6714 Å; angles 127.34, 127.36, 58.50 degrees
Closest atoms and distances in Å follow each position.
Fractional coordinates of all 7 atoms:
Mg 0.7499 0.2500 0.5000  4 Mg 2.76-2.98
Mg 0.2501 0.7500 0.5000  4 Mg 2.76-2.98
Mg 0.5000 0.0000 0.0000  4 Mg 2.76-2.98, 2 Tb 3.05
Mg 0.0000 0.5000 0.0000  4 Mg 2.76-2.98, 2 Tb 3.05
Cd 0.6543 0.6543 0.3102  8 Mg 3.22-3.51, 1 Cd 3.42, 2 Tb 3.44
Cd 0.3457 0.3457 0.6898  8 Mg 3.22-3.51, 1 Cd 3.42, 2 Tb 3.44